

Jason thought over his lack of communication skills throughout his test, nearly missing out on several questions due to his lack of concentration.

He only stopped thinking about it when it was time to hand in his paper for marking, and even then it was only brief. 

"That was hell, how are you meant to find any of that? Who thought of putting letters on shapes in maths, 'cause I'd like to have a word." Eric began raving to him as soon as he was allowed to.

"If you ever find him, can you kick his arse for me as well, normally I can handle maths quite well but...I shudder to think about what my marks for that will be." A tall dark-haired boy from the left of Jason chimed in.

## Attached: data records
____________
No. 1
Here is a structure of composition C37H39N3O3P2SSe2Tl from OMol25. Energies are from the ωB97M-V functional and the def2-TZVPD basis.

Geometry as XYZ:
```
88
Properties=species:S:1:pos:R:3
Tl -0.576 -0.922 -0.542
O -0.173 -3.127 -0.411
C -1.118 -3.999 -0.603
C -0.891 -5.092 -1.473
C -1.838 -6.072 -1.665
C -3.065 -6.028 -0.999
C -3.311 -4.974 -0.144
C -2.378 -3.951 0.061
C -2.737 -2.893 0.985
N -2.121 -1.778 1.081
N -2.589 -0.891 2.026
C -1.867 0.206 2.028
O -0.875 0.478 1.268
C -2.261 1.259 3.016
C -1.393 2.320 3.253
C -1.747 3.325 4.142
C -2.971 3.279 4.794
C -3.838 2.218 4.561
C -3.484 1.209 3.679
H 0.060 -5.115 -1.989
H -1.625 -6.890 -2.346
H -3.805 -6.804 -1.149
H -4.255 -4.919 0.389
H -3.593 -3.057 1.644
H -0.436 2.332 2.745
H -1.061 4.143 4.326
H -3.250 4.066 5.484
H -4.794 2.179 5.069
H -4.144 0.375 3.485
O 0.031 -1.453 -2.889
N -0.679 -0.808 -3.768
C -0.091 -0.491 -4.948
C -0.765 0.172 -5.937
C -2.089 0.548 -5.710
C -2.674 0.230 -4.508
C -1.984 -0.479 -3.512
S -2.716 -0.961 -2.038
H 0.938 -0.812 -5.011
H -0.254 0.399 -6.861
H -2.648 1.085 -6.465
H -3.695 0.507 -4.290
Se 2.023 -0.335 -0.703
P 2.940 -0.071 1.298
Se 2.555 1.655 2.469
C 2.732 -1.593 2.278
C 2.000 -2.680 1.827
C 1.870 -3.809 2.630
C 2.485 -3.857 3.870
C 3.229 -2.769 4.318
C 3.344 -1.638 3.531
C 4.704 -0.154 0.817
C 5.262 -1.380 0.462
C 6.585 -1.453 0.060
C 7.358 -0.299 0.001
C 6.803 0.923 0.349
C 5.479 0.997 0.760
H 1.522 -2.676 0.859
H 1.276 -4.641 2.271
H 2.384 -4.737 4.494
H 3.706 -2.801 5.290
H 3.891 -0.773 3.888
H 4.654 -2.277 0.500
H 7.016 -2.410 -0.209
H 8.393 -0.356 -0.314
H 7.403 1.824 0.306
H 5.035 1.940 1.056
C 0.331 2.943 -3.637
C -0.939 3.130 -2.813
P -0.887 2.146 -1.246
C 0.361 3.059 -0.256
C 0.014 4.469 0.208
C -2.507 2.567 -0.457
C -3.233 3.835 -0.898
H 0.261 3.457 -4.598
H 0.517 1.886 -3.831
H 1.205 3.334 -3.113
H -1.806 2.777 -3.379
H -1.104 4.190 -2.603
H 1.279 3.059 -0.850
H 0.584 2.420 0.601
H -0.190 5.142 -0.628
H 0.845 4.891 0.778
H -0.861 4.466 0.861
H -2.314 2.599 0.617
H -3.150 1.697 -0.619
H -2.630 4.729 -0.737
H -4.157 3.953 -0.328
H -3.503 3.804 -1.955
```

Results
Frontier orbital gap (Ha): 0.259
Net charge: -1



No. 2
Here is a cluster of 3 separate species, C15H12FN2O4 in total from OMol25. Energies are from the ωB97M-V functional and the def2-TZVPD basis.

Geometry as XYZ:
```
34
Properties=species:S:1:pos:R:3
F -2.743 1.535 -0.808
C -2.510 1.646 0.461
N -3.225 1.110 1.429
C -2.620 1.389 2.653
C -1.515 2.098 2.356
N -1.452 2.252 0.986
H -4.065 0.568 1.285
H -3.016 1.049 3.590
H -0.737 2.469 2.998
H -0.724 2.720 0.465
C 1.737 -0.876 1.536
C 1.897 -2.195 1.469
C 1.613 -3.066 2.643
O 1.738 -4.266 2.579
C 1.170 -2.402 3.900
C 1.012 -1.082 3.963
C 1.264 -0.227 2.781
O 1.086 0.979 2.827
H 1.951 -0.221 0.700
H 2.242 -2.698 0.575
H 0.994 -3.054 4.746
H 0.704 -0.574 4.868
C 0.147 0.602 -2.652
C -0.684 1.037 -3.592
C -0.459 0.710 -5.028
O -1.224 1.104 -5.876
C 0.730 -0.118 -5.358
C 1.555 -0.559 -4.410
C 1.325 -0.240 -2.981
O 2.052 -0.645 -2.099
____________

"You can say that one again Paul, jeez I feel like my head's been put through a cheese grater." Jason made exaggerated shows of pain, making Eric chuckle under his breath.

"Come on then, it's time for science," Paul said while standing up from his chair.

The rest of the school day felt like a blur to Jason, nothing feeling significant in any way, if he hadn't been running for his life earlier he would have written the day off as being just like any other.

"You on tonight or do we have to 3 stack again?" Eric asked him as he was about to leave the school gates.

"I may be on, I'll see what my mum wants and if I have free time to myself, I've got homework and the like." Jason's response was met with a disapproving look, but he was coming up with excuses so that he could have time to study Apocalypse Runner more so that he wouldn't be caught off-guard like last time.

The walk back home wasn't long, but normally it would be enough that he would go back to his room to lie on his bed for an hour before tea, not that it was the walk's fault, it was usually just being in school that would slowly drain his energy.

"You home mum?"

He waited for a response which, when it failed to materialise, sent him into his usual zombie state where he would trudge himself upstairs to fall asleep without even taking his clothes off, it was an institution of the house by now.

`Shame sis isn't here, I need to give her a right...I don't know, maybe I should fill her bed with spiders again, nah she'd be expecting that, wait, what if I set up all of her dolls in a way that made her room seem haunted, a perfect plan.` He couldn't hide the smile that had formed across his face.

While he was plotting ways to torture his sister his autopilot mode had taken him directly to his bed ready for him to jump in and catch some rest, but today he had decided to forgo tradition for the sake of his honour and also his survival.

It took him fifteen minutes to disassemble and reassemble his sister's room, but when he left it even he felt a chill down his back and he had been the one to set it up.

`That's the first issue dealt with, now to do some research.` 

"Runney, come here I want to go through the system by myself."

Like magic Runney appeared from his bedroom and transformed himself into a fluorescent panel of light displaying the same information as last time, except now he had an ability listed.

Skills: Disguise (I)


`That's depressing, absolutely nothing in my inventory, and the skill that I have doesn't really help in anything other than running away, and even in that it doesn't help until I've actually managed to get away.` He was slightly angry at the hand he had been dealt, but he knew that it was mostly up to his own inaction that he was presumably so weak.

`Next time I'll be ready and I'll take full advantage of the loot drops.`

He scrolled through to another section of the system called the store which held several thousand items for purchase with differing kinds of currency, from U.S dollars to Russian Rubles. 

`Moonlight sword, potion of strength, magic book, when I get money this will be worth scrolling through, although the prices are a bit high, $700 for a single book on beginner magic seems a little excessive.`

When further scrolling down proved fruitless he swiped to the left revealing another tab that was titled "Apocalypses" and the very first app-like popup was the zombie apocalypse that he had been sent to earlier that day.

`So I can enter it again whenever I want by tapping the red join button, but what does the letter next to it have to do with anything?` Right next to the picture of the world was the letter C which had a silver texture plastered on top of it.

2 Swipes to the right revealed the chatroom that he had received Lucy's message, which made a thought cross his mind.

`Let me see what Runney wrote to her, just in case.`

JAS - Hi Lucy it's Runney, Jason had no idea how to respond to your text so he put me up to the task, he's also at school and will contact you when he gets home.

`It could have been worse, but him putting words into my mouth rubs me the wrong way for some reason, oh well, he set up a great opportunity for me and it would be a shame to let it go to waste.`

He started typing furiously, not quite finding the right words that he wanted to use which began to start sending him up the wall, but he eventually gave up and sent a message that had the gist of what he wanted to get across.

JAS - Sorry for taking a while to get back to you, school was a bit of a pain, anyway I was thinking about going back into that zombie world to find more loot, do you want to come with me or am I doing it alone?

While he thought that the ending sounded a bit manipulative he hoped that she wouldn't interpret it like that.

After that, the time that he would have normally spent asleep had already passed which meant that it was time to have a shower, he didn't close the system as he took his clothes of and got into the steaming hot shower that he had let run for a few minutes to get up to the heat that he enjoyed.


As he was about to step in he got a notification from Lucy, which he eagerly checked to see if she had agreed to join him.

LUC - I'll join you, but you're going to have to wait until 11.00 tonight since my schedule's pretty packed.

"Hmm hmm hmmmm hmmm hmm"

He was happy enough to start humming a tune in the shower, a thing he rarely did anymore because of his sister's constant teasing.

`I guess I should check the shop out some more while I'm in here, maybe there'll be something that I'm able to afford in there, although looking at the average price for things I doubt that a fiver is going to afford anything other than maybe a single peanut.`

Luckily for him, there was a filter button that allowed for viewing of the cheapest products currently on sale.

` That's not too bad, maybe a bit pricey but a sword for £50, even if it's made of what seems to be a very low-quality metal, or the book next to it for $54.23 which seems to have a skill that it can give to the user.`

The variety of low-cost items was limited, they were usually bottom-of-the-barrel low-quality items that would probably bring very little benefit in an actual survival situation.

Ten minutes of scrolling later and he was ready to leave the shower, completely refreshed and ready for tomorrow as much as he could be, all he needed now was to eat and he would be set until 11 PM.

`It's already five and mum isn't back yet, I wonder if she said if she had anything on, oh yeah she won't be back until 7 so I have the house to myself unless Cath walks in and ruins my home alone time.`

The first thing he did was get changed into a spare set of clothes before heading downstairs to get the microwaveable meal that had been left in the fridge for him which he slurped down after the 10 minutes it took to cook.

After he ate he ran back up to his room where he would stay for the rest of the night, setting an alarm for 11 to make sure that he didn't forget about his arrangement, he proceeded to play games until it was time for him to get ready for bed, his mum having came back and his sister still nowhere to be seen.

He glanced at his clock which read the time as 10.58 which annoyed him since he had tried to time it perfectly so that he would be in bed by the time he had to dive into the apocalypse again.

`Whatever, I'll just go in a little early and wait for her where we left off.` He pressed on the relevant picture which now had a C+ next to it and felt the same drowsiness that he had felt in the morning.

When he opened his eyes he found himself in the exact same area as when he had left, the sun was high in the sky beaming light onto the activity-less world below, and there was no one left on the rooftop with him

"Where did everyone...go?" He asked himself as he gazed at the packed streets below.

I whacked one of my testies while writing this so I hope you enjoy. (It hurts quite a bit)

derpydinosaurcreators' thoughts